'''
Structure and theoretical powder XRD pattern of Th6Al3Sn (a structure optimized by DFT (PBE); CuKα).
Intensities are scaled so that the largest is 100.

Largest 10 diffraction maxima, sorted by position, 2θ from 10° to 90°:
d_spacing	I (rel.)
6.864	50
4.249	85
4.181	100
3.613	35
2.910	48
2.753	66
2.688	37
2.670	36
2.401	39
2.288	44

Atomic structure:
```
data_Th6Al3Sn
_chemical_formula_sum 'Th6 Al3 Sn1'
_cell_length_a 8.366
_cell_length_b 8.366
_cell_length_c 8.366
_cell_angle_alpha 118.95
_cell_angle_beta 118.95
_cell_angle_gamma 91.83
_space_group_name_H-M_alt 'P 1'
_space_group_IT_number 1
loop_
_space_group_symop_operation_xyz
'x,y,z'
loop_
_atom_site_label
_atom_site_fract_x
_atom_site_fract_y
_atom_site_fract_z
Th1 0.161 0.500 0.661
Th2 0.245 0.245 0.000
Th3 0.500 0.161 0.661
Th4 0.500 0.839 0.339
Th5 0.755 0.755 0.000
Th6 0.839 0.500 0.339
Al1 0.000 0.000 0.000
Al2 0.250 0.750 0.500
Al3 0.750 0.250 0.500
Sn1 0.500 0.500 0.000
```

***

Structure and theoretical powder XRD pattern of Al2Zn2Sn3 (a structure optimized by DFT (PBE); CuKα).
Intensities are scaled so that the largest is 100.

Largest 10 diffraction maxima, sorted by position, 2θ from 10° to 90°:
d_spacing	I (rel.)
4.119	19
3.955	23
3.451	23
3.178	25
2.469	96
2.413	100
1.725	33
1.437	13
1.403	33
1.393	18

Atomic structure:
```
data_Al2Zn2Sn3
_chemical_formula_sum 'Al2 Zn2 Sn3'
_cell_length_a 8.622
_cell_length_b 8.622
_cell_length_c 8.622
_cell_angle_alpha 32.50
_cell_angle_beta 32.50
_cell_angle_gamma 32.50
_space_group_name_H-M_alt 'P 1'
_space_group_IT_number 1
loop_
_space_group_symop_operation_xyz
'x,y,z'
loop_
_atom_site_label
_atom_site_fract_x
_atom_site_fract_y
_atom_site_fract_z
Al1 0.000 0.000 0.000
Al2 0.493 0.493 0.493
Zn1 0.231 0.231 0.231
Zn2 0.752 0.752 0.752
Sn1 0.376 0.376 0.376
Sn2 0.621 0.621 0.621
Sn3 0.866 0.866 0.866
```

***

Structure and theoretical powder XRD pattern of Al2Zn2Sn (a structure optimized by DFT (PBE); CuKα).
Intensities are scaled so that the largest is 100.

Largest 10 diffraction maxima, sorted by position, 2θ from 10° to 90°:
d_spacing	I (rel.)
5.837	40
2.850	67
2.799	93
2.561	100
2.020	78
2.015	57
1.635	37
1.426	68
1.245	21
1.182	13

Atomic structure:
```
data_Al2Zn2Sn
_chemical_formula_sum 'Al2 Zn2 Sn1'
_cell_length_a 6.495
_cell_length_b 6.495
_cell_length_c 6.495
_cell_angle_alpha 143.86
_cell_angle_beta 143.86
_cell_angle_gamma 52.04
_space_group_name_H-M_alt 'P 1'
_space_group_IT_number 1
loop_
_space_group_symop_operation_xyz
'x,y,z'
loop_
_atom_site_label
_atom_site_fract_x
_atom_site_fract_y
_atom_site_fract_z
Al1 0.250 0.750 0.500
Al2 0.750 0.250 0.500
Zn1 0.105 0.105 0.000
Zn2 0.895 0.895 0.000
Sn1 0.500 0.500 0.000
```

***

Structure and theoretical powder XRD pattern of SrAl3Tc (a structure optimized by DFT (PBE); CuKα).
Intensities are scaled so that the largest is 100.

Largest 10 diffraction maxima, sorted by position, 2θ from 10° to 90°:
d_spacing	I (rel.)
3.977	15
3.427	100
3.375	60
2.783	20
2.386	65
2.312	25
1.958	41
1.908	28
1.713	18
1.687	22

Atomic structure:
```
data_SrAl3Tc
_chemical_formula_sum 'Sr2 Al6 Tc2'
_cell_length_a 6.749
_cell_length_b 6.749
_cell_length_c 4.923
_cell_angle_alpha 90.00
_cell_angle_beta 90.00
_cell_angle_gamma 90.00
_space_group_name_H-M_alt 'P 1'
_space_group_IT_number 1
loop_
_space_group_symop_operation_xyz
'x,y,z'
loop_
_atom_site_label
_atom_site_fract_x
_atom_site_fract_y
_atom_site_fract_z
Sr1 0.250 0.750 0.000
Sr2 0.750 0.250 0.000
Al1 0.000 0.000 0.500
Al2 0.000 0.500 0.500
Al3 0.250 0.250 0.105
Al4 0.500 0.000 0.500
Al5 0.500 0.500 0.500
Al6 0.750 0.750 0.895
Tc1 0.250 0.250 0.609
Tc2 0.750 0.750 0.391
```

* * * * *

# 1
Diffraction record for La2NiP2O. The X-ray diffraction stick pattern is calculated, not measured: it uses a structure optimized by DFT (PBE+U) and Cu Kα (λ = 1.5418 Å).

Main lines, by angle (15 to 90 degrees two-theta):
'''

Your job: echo only the last part of the contents further up, starting with the line that has "_cell_length_a 6.495".

_cell_length_a 6.495
_cell_length_b 6.495
_cell_length_c 6.495
_cell_angle_alpha 143.86
_cell_angle_beta 143.86
_cell_angle_gamma 52.04
_space_group_name_H-M_alt 'P 1'
_space_group_IT_number 1
loop_
_space_group_symop_operation_xyz
'x,y,z'
loop_
_atom_site_label
_atom_site_fract_x
_atom_site_fract_y
_atom_site_fract_z
Al1 0.250 0.750 0.500
Al2 0.750 0.250 0.500
Zn1 0.105 0.105 0.000
Zn2 0.895 0.895 0.000
Sn1 0.500 0.500 0.000
```

***

Structure and theoretical powder XRD pattern of SrAl3Tc (a structure optimized by DFT (PBE); CuKα).
Intensities are scaled so that the largest is 100.

Largest 10 diffraction maxima, sorted by position, 2θ from 10° to 90°:
d_spacing	I (rel.)
3.977	15
3.427	100
3.375	60
2.783	20
2.386	65
2.312	25
1.958	41
1.908	28
1.713	18
1.687	22

Atomic structure:
```
data_SrAl3Tc
_chemical_formula_sum 'Sr2 Al6 Tc2'
_cell_length_a 6.749
_cell_length_b 6.749
_cell_length_c 4.923
_cell_angle_alpha 90.00
_cell_angle_beta 90.00
_cell_angle_gamma 90.00
_space_group_name_H-M_alt 'P 1'
_space_group_IT_number 1
loop_
_space_group_symop_operation_xyz
'x,y,z'
loop_
_atom_site_label
_atom_site_fract_x
_atom_site_fract_y
_atom_site_fract_z
Sr1 0.250 0.750 0.000
Sr2 0.750 0.250 0.000
Al1 0.000 0.000 0.500
Al2 0.000 0.500 0.500
Al3 0.250 0.250 0.105
Al4 0.500 0.000 0.500
Al5 0.500 0.500 0.500
Al6 0.750 0.750 0.895
Tc1 0.250 0.250 0.609
Tc2 0.750 0.750 0.391
```

* * * * *

# 1
Diffraction record for La2NiP2O. The X-ray diffraction stick pattern is calculated, not measured: it uses a structure optimized by DFT (PBE+U) and Cu Kα (λ = 1.5418 Å).

Main lines, by angle (15 to 90 degrees two-theta):